Entries =
- - -
Record 1
The following is a computed X-ray diffraction stick pattern of SrCr2Mo. It was derived from the PBE geometry in Alexandria, using Cu Kα, 1.54184 Å.

Structure:
Unit cell a=9.032 b=3.139 c=6.077 alpha=90.00 beta=102.56 gamma=90.00
Fractional positions:
Sr 0.000 0.000 0.000
Sr 0.500 0.500 0.000
Cr 0.217 0.000 0.612
Cr 0.283 0.500 0.388
Cr 0.717 0.500 0.612
Cr 0.783 0.000 0.388
Mo 0.000 0.500 0.500
Mo 0.500 0.000 0.500

Top 8 peaks for 2θ from 10° to 90°, in order of rising 2θ:
- 2θ = 14.94°, I 66
- 2θ = 20.15°, I 26
- 2θ = 30.14°, I 55
- 2θ = 32.52°, I 48
- 2θ = 34.88°, I 100
- 2θ = 40.95°, I 38
- 2θ = 42.47°, I 84
- 2θ = 57.97°, I 31

---

Record 2
The following is a computed X-ray diffraction stick pattern of Ta6CrMo. It was derived from the PBE geometry in Alexandria, using Cu Kα, 1.54184 Å.

Structure:
Unit cell a=4.546 b=4.546 c=13.273 alpha=90.00 beta=90.00 gamma=90.00
Fractional positions:
Ta 0.000 0.000 0.248
Ta 0.000 0.000 0.752
Ta 0.000 0.500 0.117
Ta 0.000 0.500 0.383
Ta 0.000 0.500 0.617
Ta 0.000 0.500 0.883
Ta 0.500 0.000 0.117
Ta 0.500 0.000 0.383
Ta 0.500 0.000 0.617
Ta 0.500 0.000 0.883
Ta 0.500 0.500 0.252
Ta 0.500 0.500 0.748
Cr 0.000 0.000 0.000
Cr 0.500 0.500 0.500
Mo 0.000 0.000 0.500
Mo 0.500 0.500 0.000

Top 8 peaks for 2θ from 10° to 90°, in order of rising 2θ:
- 2θ = 30.91°, I 9
- 2θ = 39.01°, I 100
- 2θ = 39.65°, I 49
- 2θ = 55.37°, I 8
- 2θ = 57.33°, I 17
- 2θ = 70.24°, I 17
- 2θ = 71.53°, I 34
- 2θ = 83.80°, I 11

---

Record 3
The following is a computed X-ray diffraction stick pattern of CrTcMo14. It was derived from the PBE geometry in Alexandria, using Cu Kα, 1.54184 Å.

Structure:
Unit cell a=6.294 b=6.294 c=6.289 alpha=90.00 beta=90.00 gamma=90.00
Fractional positions:
Cr 0.000 0.000 0.000
Tc 0.500 0.500 0.000
Mo 0.000 0.000 0.500
Mo 0.000 0.500 0.000
Mo 0.000 0.500 0.500
Mo 0.248 0.248 0.248
Mo 0.248 0.248 0.752
Mo 0.248 0.752 0.248
Mo 0.248 0.752 0.752
Mo 0.500 0.000 0.000
Mo 0.500 0.000 0.500
Mo 0.500 0.500 0.500
Mo 0.752 0.248 0.248
Mo 0.752 0.248 0.752
Mo 0.752 0.752 0.248
Mo 0.752 0.752 0.752

Top 6 peaks for 2θ from 10° to 90°, in order of rising 2θ:
- 2θ = 19.96°, I 1
- 2θ = 31.80°, I 1
- 2θ = 40.55°, I 100
- 2θ = 58.69°, I 16
- 2θ = 73.77°, I 33
- 2θ = 87.74°, I 11

---

Record 4
The following is a computed X-ray diffraction stick pattern of CrTe6Mo. It was derived from the PBE geometry in Alexandria, using Cu Kα, 1.54184 Å.

Structure:
Unit cell a=6.306 b=6.709 c=6.728 alpha=68.35 beta=64.60 gamma=62.01
Fractional positions:
Cr 0.000 0.000 0.000
Te 0.041 0.788 0.707
Te 0.291 0.588 0.185
Te 0.403 0.105 0.698
Te 0.597 0.895 0.302
Te 0.709 0.412 0.815
Te 0.959 0.212 0.293
Mo 0.500 0.500 0.500

Top 8 peaks for 2θ from 10° to 90°, in order of rising 2θ:
- 2θ = 26.83°, I 50
- 2θ = 28.33°, I 42
- 2θ = 29.16°, I 100
- 2θ = 29.68°, I 88
- 2θ = 31.55°, I 39
- 2θ = 31.72°, I 98
- 2θ = 32.46°, I 65
- 2θ = 46.29°, I 47

---

Record 5
The following is a computed X-ray diffraction stick pattern of Tl2CrMo. It was derived from the PBE geometry in Alexandria, using Cu Kα, 1.54184 Å.

Structure:
Unit cell a=3.135 b=3.134 c=8.470 alpha=90.00 beta=99.90 gamma=90.00
Fractional positions:
Tl 0.000 0.000 0.000
Tl 0.175 0.500 0.348
Cr 0.397 0.500 0.754
Mo 0.778 0.000 0.611

Top 8 peaks for 2θ from 10° to 90°, in order of rising 2θ:
- 2θ = 29.05°, I 49
- 2θ = 30.47°, I 67
- 2θ = 32.18°, I 64
- 2θ = 35.83°, I 100
- 2θ = 39.16°, I 52
- 2θ = 39.71°, I 46
- 2θ = 41.03°, I 43
- 2θ = 41.13°, I 44

---

Record 6
The following is a computed X-ray diffraction stick pattern of V2Cr4Mo3. It was derived from the PBE geometry in Alexandria, using Cu Kα, 1.54184 Å.

Structure:
Unit cell a=4.237 b=4.237 c=7.776 alpha=90.00 beta=90.00 gamma=120.00
Fractional positions:
V 0.333 0.667 0.216
V 0.667 0.333 0.784
Cr 0.000 0.000 0.331
Cr 0.000 0.000 0.669
Cr 0.333 0.667 0.890
Cr 0.667 0.333 0.110
Mo 0.000 0.000 0.000
Mo 0.333 0.667 0.562
Mo 0.667 0.333 0.438

Top 8 peaks for 2θ from 10° to 90°, in order of rising 2θ:
- - -

Work order =
Please set down every line further above that contains the word "the".

Written answer =
The following is a computed X-ray diffraction stick pattern of SrCr2Mo. It was derived from the PBE geometry in Alexandria, using Cu Kα, 1.54184 Å.
The following is a computed X-ray diffraction stick pattern of Ta6CrMo. It was derived from the PBE geometry in Alexandria, using Cu Kα, 1.54184 Å.
The following is a computed X-ray diffraction stick pattern of CrTcMo14. It was derived from the PBE geometry in Alexandria, using Cu Kα, 1.54184 Å.
The following is a computed X-ray diffraction stick pattern of CrTe6Mo. It was derived from the PBE geometry in Alexandria, using Cu Kα, 1.54184 Å.
The following is a computed X-ray diffraction stick pattern of Tl2CrMo. It was derived from the PBE geometry in Alexandria, using Cu Kα, 1.54184 Å.
The following is a computed X-ray diffraction stick pattern of V2Cr4Mo3. It was derived from the PBE geometry in Alexandria, using Cu Kα, 1.54184 Å.